10 Rituals to Transform Your Morning Routine
“You can’t make someone feel good about themselves until you feel good about yourself.”
―  Robin S. Sharma, The Monk Who Sold His Ferrari: A Fable About Fulfilling Your Dreams and Reaching Your DestinyÂ
10 Rituals to Transform Your Morning Routine According to best-selling author Robin Sharma.
The following are the 10 Morning Rituals on the path to personal mastery.
Please enjoy.
 1. The Ritual of Solitude:
- Solitude and quiet connect you to your creative source and release the universe’s limitless intelligence.
- This inner quietness brings many benefits, including a deep sense of well-being, inner peace, and boundless energy.
- The ritual of Solitude works best when you practice it at the same time every day.
- Being with nature also allows you to tune in to the infinite wisdom of your highest self.
 2. The Ritual of Physicality:
- Care for your body, and the mind will follow.
- As you train your body, so you train your mind.
- Breathe fresh air. Preferably deep from your abdomen every morning. It can help you take in more oxygen to run the body optimally.
  3. The Ritual of live Nourishment:
- A poor diet has a pronounced effect on your life. It drains your mental and physical energy.
'''
Calculated powder diffraction line list
Compound: InW3S5
Radiation: copper Kα
Structure: DFT lattice parameters and positions (PBE)

```
data_InW3S5
_symmetry_space_group_name_H-M 'P 1'
_symmetry_Int_Tables_number 1
_cell_length_a 5.591
_cell_length_b 5.591
_cell_length_c 7.132
_cell_angle_alpha 90.00
_cell_angle_beta 90.00
_cell_angle_gamma 120.00
loop_
_symmetry_equiv_pos_as_xyz
'x,y,z'
loop_
_atom_site_label
_atom_site_type_symbol
_atom_site_fract_x
_atom_site_fract_y
_atom_site_fract_z
In1 In 0.000 0.000 0.000
W1 W 0.000 0.500 0.500
W2 W 0.500 0.000 0.500
W3 W 0.500 0.500 0.500
S1 S 0.000 0.000 0.500
S2 S 0.333 0.667 0.240
S3 S 0.333 0.667 0.760
S4 S 0.667 0.333 0.240
S5 S 0.667 0.333 0.760
```

Largest 8 diffraction maxima, in order of falling intensity, 10 to 90 degrees two-theta:
2theta  I_rel  h k l
12.41  100  0 0 1
45.27  70  2 0 2
22.19  53  1 0 1
37.14  42  2 0 0
39.30  39  2 0 1
24.97  31  0 0 2
34.46  19  1 1 1
64.95  17  2 0 4

=====

1.
Simulated powder diffraction line list
Compound: NaSmCd
Radiation: Cu Kα (λ = 1.5418 Å)
Structure: the GGA-PBE geometry in Alexandria

Main lines, sorted by position (2θ from 10° to 90°):
two_theta	I/Imax	h k l
10.06	77.8	0 0 1
29.07	22.8	1 0 -2
32.11	36.7	0 2 0
33.30	100.0	1 1 1
34.57	42.1	0 1 3
39.25	21.7	1 1 2
43.86	16.3	1 2 -2
53.31	15.3	1 0 4
58.00	19.8	1 3 1
63.61	20.2	1 2 4

```
data_NaSmCd
_cell_length_a 3.607
_cell_length_b 5.575
_cell_length_c 8.977
_cell_angle_alpha 90.00
_cell_angle_beta 101.56
_cell_angle_gamma 90.00
_symmetry_space_group_name_H-M 'P 1 21/m 1'
_symmetry_Int_Tables_number 11
loop_
_symmetry_equiv_pos_as_xyz
'x,y,z'
'-x,-y,-z'
'-x,y+1/2,-z'
'x,-y+1/2,z'
loop_
_atom_site_label
_atom_site_type_symbol
_atom_site_fract_x
_atom_site_fract_y
_atom_site_fract_z
Na1 Na 0.049 0.250 0.095
Sm1 Sm 0.271 0.750 0.544
Cd1 Cd 0.385 0.250 0.768
```

2.
Simulated powder diffraction line list
Compound: Sr3LaAg4
Radiation: Cu Kα (λ = 1.5418 Å)
Structure: the GGA-PBE geometry in Alexandria

Main lines, sorted by position (2θ from 10° to 90°):
two_theta	I/Imax	h k l
32.35	100.0	1 0 4
32.47	51.0	1 1 0
46.23	8.2	0 0 8
46.58	18.2	2 0 0
57.63	16.8	1 1 8
57.85	36.2	2 1 4
67.72	10.2	2 0 8
68.00	6.3	2 2 0
76.80	6.1	1 0 12
77.36	15.5	3 1 0

```
data_Sr3LaAg4
_cell_length_a 3.900
_cell_length_b 3.900
_cell_length_c 15.710
_cell_angle_alpha 90.00
_cell_angle_beta 90.00
_cell_angle_gamma 90.00
_symmetry_space_group_name_H-M 'P 4/m m m'
_symmetry_Int_Tables_number 123
_symmetry_space_group_name_Hall '-P 4 2'
loop_
_atom_site_label
_atom_site_type_symbol
_atom_site_fract_x
_atom_site_fract_y
_atom_site_fract_z
Sr1 Sr 0.000 0.000 0.000
Sr2 Sr 0.000 0.000 0.253
La1 La 0.000 0.000 0.500
Ag1 Ag 0.500 0.500 0.126
Ag2 Ag 0.500 0.500 0.388
```

3.
Simulated powder diffraction line list
Compound: Co5Sn2Sb2
Radiation: Cu Kα (λ = 1.5418 Å)
Structure: the GGA-PBE geometry in Alexandria

Main lines, sorted by position (2θ from 10° to 90°):
two_theta	I/Imax	h k l
30.71	100.0	1 0 2
43.56	89.9	1 1 0
44.41	72.0	1 0 4
'''
- As you nourish your body, so you nourish your mind.
- Start eating live food. (Food is created through the natural interaction of the sun, air, soil, and water.)
  4. The Ritual of Abundant Knowledge:
- Commit to lifelong learning and expanding your knowledge base for the good of yourself and those around you.
- Knowledge is only potential power; to be manifested, put it into action.
- Read regularly. But remember, some books are meant to be tasted, some are meant to be chewed, and some are meant to be swallowed whole. 🙂
  5. The Ritual of Personal Reflection:
- By getting to know yourself, you will connect to a dimension of your being that you never knew you had.
- Retire to a quiet corner of your home every evening and reflect on your day. Then think of any adjustments you can make the next day.
- Start with what you made this morning and progress through your day.
- Happiness comes through sound judgment, good judgment comes through experience, and experience comes through bad judgment.
- Figure out what is right and wrong in your days and life. Then set about making improvements.
  6. The Ritual of Early Awakening:
- Sleep is nothing more than a habit; like any other habit, you can train yourself to sleepless.
- Embrace the pain and discomfort of waking up early. Pain is often the precursor to personal growth.
- One must strive for quality rest rather than quantity sleep. (never eat after 8:00 p.m. It may reduce your quality of sleep.)
- The ten-minute period before you sleep and the ten-minute period after waking up are profoundly influential on your subconscious mind.
- The thought you think and the actions you take in the first ten minutes after you wake up have a very marked effect on the rest of your day.
  7.  The Ritual of Music:
- Never forget the power of music. Spend a little time with it every day if you can.
- When you are down or weary, play some music.
- Music is an excellent tool for boosting your mood along with raising your vibration.
  8.  The Ritual of Spoken Word:
- Have a series of mantras you can recite in the morning, noon, and night.
- Mantras can be immensely effective in bringing clarity and focus to achieving your goals.
- Remember, the words you say to yourself affect your self-image, and your self-image determines your actions.
 9. The Ritual of a Congruent Character:
- Strengthening your character will affect how you see yourself and your actions.
- Cultivate your virtues. (a virtuous life is a meaningful life. Living this way will inevitably lead you to spiritual success)
- Act in a way that is congruent with your true character. Act with integrity. Be guided by your heart. The rest will take care of itself.
  10. The Ritual of Simplicity:
- Live a simple life.
- Focus only on your priorities, those activities which are truly meaningful.
- Stop buying stuff that does not add fundamental value to your life. Reduce your need for approval.
- Decluttered your space of living to the simplest. It will help you gain greater clarity in your life.
Final Thoughts
“Change is hardest at the beginning, messiest in the middle, and best at the end,” says Robin Sharma. And honestly, that couldn’t be more true. When you first start something new, like a big change in your life, it will feel like a total struggle. And It’s tough because you’re leaving behind what’s familiar, and the unknown feels pretty scary.
Maybe you feel uncertain, frustrated, or even like giving up because it just seems so hard.
But eventually, if you stick with it, you start to see the light at the end of the tunnel. The change starts to feel more natural, and you realize that all the hard work, the messy parts, and the struggles were totally worth it. That’s when things start to feel best. You’re not only seeing the results, but you’re also feeling proud of how far you’ve come.Â
So, even though the start is tough and the middle is messy, just remember that the end is where it all comes together. Keep going, because the best part is waiting for you!
Thanks for reading.